Contents.
/*
La2BeWO | GGA+U | optimized geometry

```
data_La2BeWO
_cell_length_a 5.1919
_cell_length_b 4.0058
_cell_length_c 5.1919
_cell_angle_alpha 90.00
_cell_angle_beta 90.00
_cell_angle_gamma 90.00
_space_group_name_H-M_alt 'P 1'
_space_group_IT_number 1
loop_
_space_group_symop_operation_xyz
'x,y,z'
loop_
_atom_site_label
_atom_site_fract_x
_atom_site_fract_y
_atom_site_fract_z
Be1 0.5000 0.5000 0.5000
O1 0.0000 0.0000 0.0000
W1 0.0000 0.5000 0.0000
La1 0.0000 0.0000 0.5000
La2 0.5000 0.0000 0.0000
```

Summary:
DOS at the Fermi energy = 0.60 states/eV/atom
calculated volume = 108 Å³ per cell
energy = -27.7 eV per cell
*/
Assignment.
Return the entries further above from the line with "data_La2BeWO" to the end exactly.
Outcome.
data_La2BeWO
_cell_length_a 5.1919
_cell_length_b 4.0058
_cell_length_c 5.1919
_cell_angle_alpha 90.00
_cell_angle_beta 90.00
_cell_angle_gamma 90.00
_space_group_name_H-M_alt 'P 1'
_space_group_IT_number 1
loop_
_space_group_symop_operation_xyz
'x,y,z'
loop_
_atom_site_label
_atom_site_fract_x
_atom_site_fract_y
_atom_site_fract_z
Be1 0.5000 0.5000 0.5000
O1 0.0000 0.0000 0.0000
W1 0.0000 0.5000 0.0000
La1 0.0000 0.0000 0.5000
La2 0.5000 0.0000 0.0000
```

Summary:
DOS at the Fermi energy = 0.60 states/eV/atom
calculated volume = 108 Å³ per cell
energy = -27.7 eV per cell